University of China MOOC is an online education platform jointly launched by NetEase and the Higher Education Society, which undertakes the task of national high-quality open courses of the Ministry of Education and provides MOOC courses from well-known Chinese universities to the public. Here, everyone who is willing to improve himself can get higher quality higher education for free.

Rich courses of famous teachers and universities

High quality courses from many 985 colleges and universities, better and more comprehensive university courses, and no distance from famous teachers.

Attached: records of crystals
+++
[1]
First-principles (PBE-GGA) data for BaGeTe3 after structural relaxation, as listed in Alexandria.

Calculated values
Excess energy over the best structure of this formula in the dataset   16 meV/atom
DOS(E_F)   0.313 states/eV per atom
E   -0.14189 hartree per atom
M_tot   0.00 μB per formula unit
ρ   5.76 g/cm³
Raw formation energy   -0.668 eV/atom
Space group   P1, No. 1

Geometry as POSCAR:
```
BaGeTe3
1.0
-7.5684 0.2644 1.8239
-3.0665 -3.0430 -6.0576
3.0743 -5.7859 1.3492
Ba Ge Te
2 2 6
direct
0.3049 0.9039 0.3982
0.6824 0.3979 0.0869
0.9929 0.1507 0.7419
0.9922 0.6511 0.7420
0.2101 0.3542 0.1136
0.7751 0.9471 0.3697
0.3199 0.8180 0.9057
0.7739 0.9475 0.8948
0.2110 0.3541 0.5887
0.6650 0.4831 0.5782
```

[2]
First-principles (PBE-GGA) data for BaGeTe3 after structural relaxation, as listed in Alexandria.

Calculated values
Excess energy over the best structure of this formula in the dataset   0 meV/atom
E   -0.14248 hartree per atom
M_tot   0.00 μB per formula unit
ρ   5.19 g/cm³
Raw formation energy   -0.684 eV/atom
Space group   P-1, No. 2

Geometry as POSCAR:
```
BaGeTe3
1.0
5.4112 0.0583 0.1704
0.2514 8.2237 2.0827
0.1474 -0.0537 8.5138
Ba Ge Te
2 2 6
direct
0.9602 0.1521 0.5903
0.5240 0.7523 0.1918
0.7417 0.6212 0.7231
0.7434 0.2832 0.0594
0.4914 0.3479 0.7875
0.9937 0.5566 0.9949
0.4709 0.3069 0.3143
0.4690 0.8762 0.7489
0.0155 0.0281 0.0331
0.0135 0.5974 0.4678
```

[3]
First-principles (PBE-GGA) data for Ba3Ge5Te12 after structural relaxation, as listed in Alexandria.

Calculated values
DOS(E_F)   0.774 states/eV per atom
E   -0.13978 hartree per atom
M_tot   0.00 μB per formula unit
ρ   5.21 g/cm³
Raw formation energy   -0.476 eV/atom
Space group   Ia-3d, No. 230

Geometry as POSCAR:
```
Ba3Ge5Te12
1.0
-5.3258 14.0313 -4.3842
-12.0715 -9.6542 2.3531
8.1830 1.4370 13.2452
Ba Ge Te
12 20 48
direct
0.7500 0.3750 0.1250
0.8750 0.7500 0.1250
0.3750 0.7500 0.6250
0.2500 0.1250 0.3750
0.8750 0.1250 0.2500
0.3750 0.6250 0.2500
0.6250 0.3750 0.7500
0.1250 0.8750 0.7500
0.7500 0.8750 0.6250
0.6250 0.2500 0.3750
0.1250 0.2500 0.8750
0.2500 0.6250 0.8750
0.1250 0.3750 0.2500
0.0000 0.5000 0.0000
0.0000 0.0000 0.0000
0.3750 0.2500 0.1250
0.5000 0.0000 0.5000
0.5000 0.5000 0.0000
0.1250 0.7500 0.3750
0.7500 0.1250 0.8750
0.7500 0.6250 0.3750
0.3750 0.1250 0.7500
0.6250 0.8750 0.2500
0.5000 0.5000 0.5000
0.5000 0.0000 0.0000
0.0000 0.0000 0.5000
0.2500 0.3750 0.6250
0.2500 0.8750 0.1250
0.0000 0.5000 0.5000
0.8750 0.2500 0.6250
0.6250 0.7500 0.8750
0.8750 0.6250 0.7500
0.7031 0.1148 0.0221
0.3190 0.5221 0.4073
0.9779 0.3852 0.2969
0.5221 0.2031 0.1148
0.5883 0.7031 0.6810
0.9779 0.5927 0.1810
0.3190 0.7969 0.4117
0.0927 0.9117 0.1148
0.5927 0.9779 0.6810
0.7031 0.5883 0.1810
0.7969 0.4779 0.3852
0.8190 0.9073 0.0221
0.1148 0.7031 0.5221
0.3852 0.4073 0.0883
0.0883 0.9073 0.3852
0.4117 0.1148 0.5927
0.0883 0.1810 0.2031
0.4779 0.6810 0.0927
0.8190 0.9117 0.2969
0.1148 0.4117 0.0927
0.3852 0.9779 0.7969
0.5927 0.6148 0.4117
0.9073 0.8190 0.5221
+++

Widely recognized certificate support

When you complete the course, you can obtain the instructor's signature certificate. These certificates are not only a kind of honor, but also a milestone for your growth.

Amazing teaching experience

New and complete online teaching mode, regular classes, short videos, homework submission, and communication with students and teachers. Whether at home or in a coffee shop, the progress is up to you!

MOOC is the abbreviation of Massive Open Online Course. It is an online education mode that anyone can register for free. MOOC has a set of homework evaluation system and assessment methods similar to offline courses. Each course starts regularly, and the whole learning process includes multiple links: watching videos, participating in discussions, submitting homework, interspersed with questions and final exams of the course.

Peking University teachers take you to see MOOC from the perspective of learning -- excerpted from the course Teach you how to do MOOC

The curriculum is managed and operated by the academic affairs offices of all schools. The university creates the curriculum and appoints the teachers who are responsible for the curriculum. The teachers make and release the curriculum. All teachers must be certified by their real names on the Higher Education Community Love Curriculum Network. When a teacher creates a new MOOC course, it needs 9 links, including course topic selection, knowledge point design, course shooting, recording and editing. After the course is released, the teacher will participate in online tutorship, such as answering questions on the forum, correcting homework, and so on, until the end of the course, the certificate will be issued.

Each course has an assessment standard set by the teacher. When the final score of students reaches the teacher's assessment score standard, they can apply for a certification certificate (electronic version). Obtaining the certificate means that the students have met the learning requirements, and their understanding and mastery of the course content have met the requirements of the corresponding university. He or she can also proudly write the fact that he or she has passed the course in his or her resume.

== Materials data that have nothing to do with the article ==
+++
[1]
## KIr2Br (PBE-GGA)

Data for a geometry-optimized KIr2Br structure.

Cell lengths 4.7712, 4.7712, 4.7712 Å; angles 60.00, 60.00, 60.00 degrees
With the nearest neighbours (Å) after each atom.
Positions (direct):
K (0.0000, 0.0000, 0.0000)  8 Ir 2.92
Ir (0.2500, 0.2500, 0.2500)  4 Br 2.92, 4 K 2.92
Ir (0.7500, 0.7500, 0.7500)  4 Br 2.92, 4 K 2.92
Br (0.5000, 0.5000, 0.5000)  8 Ir 2.92

space-group type = Fm-3m


[2]
## KIr2Br (PBE-GGA)

Data for a geometry-optimized KIr2Br structure.

Cell lengths 2.7789, 4.0005, 9.1018 Å; angles 90.00, 90.00, 90.00 degrees
With the nearest neighbours (Å) after each atom.
Positions (direct):
K (0.0000, 0.0000, 0.0000)  2 K 2.78
Ir (0.0000, 0.0000, 0.6327)  6 Ir 2.55-2.78
Ir (0.5000, 0.5000, 0.7157)  6 Ir 2.55-2.78
Br (0.5000, 0.5000, 0.2375)  2 Br 2.78

space-group type = Pmm2


[3]
## KIr2Br (PBE-GGA)

Data for a geometry-optimized KIr2Br structure.

Cell lengths 10.3004, 10.3004, 10.3004 Å; angles 16.28, 16.28, 16.28 degrees
With the nearest neighbours (Å) after each atom.
Positions (direct):
K (0.0000, 0.0000, 0.0000)  6 K 2.92
Ir (0.2404, 0.2404, 0.2404)  3 Br 2.81, 6 Ir 2.92
Ir (0.7596, 0.7596, 0.7596)  3 Br 2.81, 6 Ir 2.92
Br (0.5000, 0.5000, 0.5000)  6 Ir 2.81, 6 Br 2.92

space-group type = R-3m


[4]
## KIrBr2 (PBE-GGA)

Data for a geometry-optimized KIrBr2 structure.

Cell lengths 8.4614, 8.4614, 8.4614 Å; angles 137.77, 137.77, 61.26 degrees
With the nearest neighbours (Å) after each atom.
Positions (direct):
K (0.0000, 0.0000, 0.0000)  4 Br 3.24
K (0.7500, 0.2500, 0.5000)  4 Br 3.24
Ir (0.2500, 0.7500, 0.5000)  4 Br 2.52
Ir (0.5000, 0.5000, 0.0000)  4 Br 2.52
Br (0.2372, 0.6250, 0.1122)  2 Ir 2.52
Br (0.3750, 0.4872, 0.6122)  2 Ir 2.52
Br (0.5128, 0.1250, 0.8878)  2 Ir 2.52
Br (0.8750, 0.7628, 0.3878)  2 Ir 2.52

space-group type = I-42d


[5]
## KIr2Br (PBE-GGA)

Data for a geometry-optimized KIr2Br structure.

Cell lengths 3.3796, 3.3796, 8.1488 Å; angles 90.00, 90.00, 90.00 degrees
With the nearest neighbours (Å) after each atom.
Positions (direct):
K (0.0000, 0.0000, 0.0000)  4 Br 3.16, 4 K 3.38
Ir (0.0000, 0.0000, 0.5574)  4 Ir 2.54
Ir (0.5000, 0.5000, 0.6624)  4 Ir 2.54
Br (0.5000, 0.5000, 0.2537)  4 K 3.16, 5 Ir 3.33-3.44, 4 Br 3.38

space-group type = P4mm


[6]
## KIr2Br (PBE-GGA)

Data for a geometry-optimized KIr2Br structure.

Cell lengths 3.8009, 3.8009, 6.7781 Å; angles 90.00, 90.00, 90.00 degrees
With the nearest neighbours (Å) after each atom.
Positions (direct):
K (0.0000, 0.0000, 0.0000)  4 Br 2.69
Ir (0.0000, 0.5000, 0.5000)  4 Ir 2.69
Ir (0.5000, 0.0000, 0.5000)  4 Ir 2.69
Br (0.5000, 0.5000, 0.0000)  4 K 2.69

space-group type = P4/mmm


[7]
## KIrBr (PBE-GGA)

Data for a geometry-optimized KIrBr structure.

Cell lengths 4.2819, 4.2819, 5.1318 Å; angles 90.00, 90.00, 120.00 degrees
With the nearest neighbours (Å) after each atom.
Positions (direct):
K (0.0000, 0.0000, 0.0000)  6 Ir 3.56, 6 Br 3.56
Ir (0.3333, 0.6667, 0.5000)  3 Br 2.47
Br (0.6667, 0.3333, 0.5000)  3 Ir 2.47
+++


MOOC official certification of University of China, electronic signature of lecturer, showing the logo of the school. Irreplaceable authority and commemoration


Each certificate will be bound with the learner's real identity, and the uniqueness of ID card number and name can be checked. You can enter the certificate number and QR code for verification and query


Each certificate proves the ability and level of learners, which is helpful for learners to enter higher education, find jobs, and improve their careers. The certificate has been recognized by Liepin, Linkedin, Zhou Botong and other recruitment channels. After obtaining the certificate, you can add your resume to these websites with one click.

In 2014, the MOOC of Chinese universities was launched, and the complete online teaching mode supports the construction of online open courses in colleges and universities, realizing personalized learning for students and social students.
In 2013, the Ministry of Education launched the construction of "national high-quality resource sharing courses", focusing on promoting the transformation and upgrading of previous national high-quality courses, improving functions and providing better teaching experience.
In 2012, the "high-quality video open class" project was launched, focusing on the popularization of courses to improve cultural quality, shaping a number of teaching celebrities, and fully demonstrating the style of lectures in colleges and universities.
In 2003, the Ministry of Education launched the "National Excellent Course" project to promote the application of modern information technology in teaching and create the first batch of first-class demonstration courses.

Our goal in online education is not to make money. Why did you do this project at that time? I think that the global education resources are unequal, East and West, urban and rural are unequal. We very much hope that we can break down all kinds of barriers through the Internet, so that everyone can have equal access to education.

——Ding Lei